Case 646

Depression / Anxiety / Panic|

I am depressed.... My parents died when I was a child, and it has taken a great deal of effort to succeed. I got a degree in my chosen field, but I haven’t gotten a job in spite of the fact that I have applied in many places.... I feel like God has abandoned me. I would like to have a family of my own, but I don’t believe that a good man exists. God [...]

Case 645


My mother-in-law hates me. She manipulates my girlfriend, who is her only child. I respect my girlfriend’s mother, but she has offended me many times. I believe that my girlfriend’s mother is worried that her daughter won’t support her anymore. She wants my girlfriend to give her everything because she doesn’t like to work. Because of this, I don’t see myself as happy by the side of my future wife. I want us to live [...]

Case 644

Romantic Relationships/Courtship (Chastity/Moral Values)|

I am in a relationship with a fifty-four-year-old man. Several months have passed, and he is trying to convince me that it is normal to have sexual relations. I have told him that I think they are important, but only in a stable marriage relationship. He doesn’t want to get married because he says times are bad and he doesn’t want to face potentially bad repercussions. He says that if I won’t have sex with [...]

Case 643

Death / Grief|

I can’t stop thinking about something that bothers me and scares me to death. I have always wondered about eternity, and if sometime after death, once we’re in heaven, God will destroy us. It feels like He created us for a finite time period and, after that time is over, He will discard us. It may be a rather dumb thought, but it seriously affects me to keep thinking about this. Dear Friend, You are [...]

Case 642

Guilt, Romantic Relationships/Courtship (Chastity/Moral Values)|

A year ago, my boyfriend and I started dating, and we now have plans to get married. I love him a lot, and he has shown me that he loves me too.... We have not been physically intimate, but I have a lot of thoughts about what it will be like after we are married and do have physical relations.... I am a shameful person, and feel very guilty about it! ... My boyfriend doesn’t [...]

Case 641

Jealousy / Envy|

My wife has always been jealous and distrustful.... One day, tired and frustrated by her mistrust and constant jealousy, I gave in and got involved with a woman at work. I wasn’t unfaithful to my wife, but it all came to light because that woman was so wicked that she contacted my wife and accused me of having harassed her. I love my wife and my family, but my wife can’t regain her trust in [...]

Case 640

**These molecular data were left in the entry by mistake**
<<<
[1]
{"formula": "C33H38AsN5NbO2", "method": "ωB97M-V/def2-TZVPD", "multiplicity": 1, "e_tot_ev": -108739.489, "total_charge": 3, "orbital_gap_ev": [4.287, 4.275], "elements": ["Nb", "C", "C", "N", "O", "C", "C", "N", "O", "H", "H", "H", "H", "H", "H", "H", "C", "C", "C", "C", "N", "N", "C", "H", "H", "H", "H", "H", "H", "H", "H", "C", "C", "C", "C", "C", "C", "N", "H", "H", "H", "H", "H", "H", "H", "H", "C", "C", "C", "C", "C", "C", "As", "C", "C", "C", "C", "C", "C", "C", "C", "C", "C", "C", "C", "H", "H", "H", "H", "H", "H", "H", "H", "H", "H", "H", "H", "H", "H", "H"], "coordinates": [[-9.533, 4.797, 14.089], [-8.910, 7.528, 17.718], [-8.765, 6.637, 16.531], [-9.532, 5.611, 16.258], [-10.178, 5.118, 17.421], [-7.921, 6.983, 15.438], [-6.701, 7.852, 15.335], [-8.249, 6.262, 14.366], [-7.529, 6.263, 13.278], [-8.544, 8.546, 17.440], [-8.401, 7.101, 18.650], [-10.021, 7.608, 17.899], [-10.927, 4.562, 17.047], [-5.877, 7.238, 15.702], [-6.771, 8.681, 16.051], [-6.624, 8.179, 14.276], [-9.937, 1.035, 10.223], [-9.703, 2.396, 10.741], [-9.325, 3.523, 10.016], [-9.240, 4.634, 10.892], [-9.488, 4.158, 12.143], [-9.793, 2.804, 12.019], [-8.938, 6.011, 10.497], [-9.658, 0.230, 10.912], [-9.382, 0.888, 9.272], [-11.071, 0.948, 10.039], [-9.174, 3.522, 8.943], [-10.100, 2.234, 12.846], [-9.456, 6.703, 11.236], [-9.338, 6.191, 9.464], [-7.841, 6.189, 10.660], [-6.893, 3.257, 14.910], [-8.040, 2.623, 15.522], [-8.162, 1.715, 16.565], [-9.505, 1.520, 16.812], [-10.213, 2.173, 15.766], [-11.649, 2.226, 15.543], [-9.302, 2.927, 15.056], [-5.932, 2.823, 15.276], [-6.771, 4.302, 15.220], [-6.873, 3.180, 13.790], [-7.298, 1.260, 17.050], [-9.952, 0.773, 17.456], [-12.137, 1.439, 16.158], [-11.914, 1.965, 14.489], [-12.112, 3.203, 15.812], [-14.245, 6.634, 17.954], [-14.060, 5.423, 17.311], [-13.574, 5.375, 16.019], [-13.033, 6.500, 15.388], [-13.022, 7.702, 16.086], [-13.575, 7.753, 17.384], [-11.927, 6.019, 13.754], [-12.117, 7.796, 12.784], [-12.829, 7.908, 11.592], [-13.313, 9.171, 11.255], [-13.038, 10.260, 12.032], [-12.223, 10.144, 13.192], [-11.688, 8.887, 13.481], [-13.361, 5.043, 12.810], [-14.674, 5.597, 12.802], [-15.615, 5.222, 11.861], [-15.365, 4.161, 10.999], [-14.098, 3.588, 11.013], [-13.104, 4.043, 11.889], [-14.746, 6.722, 18.893], [-14.529, 4.562, 17.718], [-13.568, 4.403, 15.550], [-12.604, 8.593, 15.621], [-13.565, 8.722, 17.881], [-12.921, 7.048, 10.877], [-13.883, 9.359, 10.348], [-13.474, 11.190, 11.749], [-11.865, 10.970, 13.805], [-10.912, 8.827, 14.276], [-14.914, 6.432, 13.490], [-16.502, 5.821, 11.833], [-16.200, 3.777, 10.386], [-13.803, 2.903, 10.164], [-12.119, 3.511, 11.794]]}


[2]
>>>

Marriage (Adultery/Infidelity)|

-- The page is interrupted by records of molecules --
<<<
[1]
ORCA calculation (the ωB97M-V functional and the def2-TZVPD basis) on C17H23NO4 in the gas phase.

The geometry in ORCA input format:
```
! RIJCOSX wB97M-V def2-TZVPD def2/J DEFGRID3
* xyz 0 1
C -5.78 -1.83 -1.06
C -4.37 -1.78 -0.47
N -4.05 -0.67 0.41
C -4.29 -0.85 1.82
C -5.74 -0.83 2.29
C -4.35 0.65 -0.10
C -3.53 0.98 -1.35
O -2.15 0.69 -1.18
C -1.46 1.49 -0.37
O -1.91 2.47 0.18
C -0.07 1.05 -0.23
C 0.93 1.65 0.49
C 2.09 0.84 0.30
C 3.41 0.89 0.74
C 4.28 -0.11 0.33
C 5.70 -0.10 0.81
O 6.54 -0.79 -0.08
C 7.88 -0.81 0.32
C 3.84 -1.14 -0.51
C 2.54 -1.21 -0.97
C 1.67 -0.21 -0.55
O 0.36 -0.07 -0.87
H -5.90 -2.75 -1.62
H -5.96 -0.99 -1.73
H -6.54 -1.80 -0.28
H -3.65 -1.76 -1.30
H -4.19 -2.69 0.10
H -3.83 -1.81 2.11
H -3.74 -0.06 2.34
H -6.29 -1.69 1.92
H -6.24 0.07 1.96
H -5.77 -0.86 3.38
H -5.42 0.80 -0.35
H -4.08 1.37 0.68
H -3.66 2.05 -1.57
H -3.85 0.39 -2.21
H 0.84 2.54 1.08
H 3.74 1.69 1.39
H 5.75 -0.58 1.81
H 6.05 0.94 0.93
H 8.43 -1.37 -0.44
H 8.29 0.20 0.40
H 7.99 -1.31 1.29
H 4.55 -1.89 -0.81
H 2.21 -2.00 -1.62
*
```

Computed properties:
- energy relative to the best compared isomer or geometry (same formula, charge and spin) (kcal per mole) = 67.1
- HOMO level (Eh) = -0.299
- frontier orbital gap (Ha) = 0.3118
- LUMO level (eV) = 0.360
- SMILES string = CCN(CC)CCOC(=O)c1cc2cc(COC)ccc2o1

---

[2]
ORCA calculation (the ωB97M-V functional and the def2-TZVPD basis) on a molecular structure, C17H23NO6.

The geometry in ORCA input format:
```
! RIJCOSX wB97M-V def2-TZVPD def2/J DEFGRID3
* xyz 0 1
C -5.40 -2.74 -0.69
H -5.34 -3.24 0.20
O -4.95 -1.29 -0.70
C -3.84 -1.07 -0.20
C -2.94 -2.14 0.14
C -1.80 -1.61 0.81
C -1.50 -0.30 0.93
C -2.37 0.80 0.17
C -3.65 0.36 -0.25
O -4.49 1.19 -0.65
C -5.80 1.53 0.11
H -6.40 2.24 -0.47
H -6.30 0.23 -0.07
H -5.53 1.66 1.18
O -1.94 2.04 0.21
C -2.79 3.11 0.03
H -2.03 3.85 0.04
H -3.63 3.24 0.64
H -2.95 3.13 -1.19
C -0.12 0.30 1.36
O 0.33 1.36 1.10
O 0.48 -0.69 1.92
C 1.87 -0.39 2.40
H 1.99 -1.26 3.24
H 1.85 0.64 2.60
C 3.10 -0.50 1.29
O 3.88 -1.57 1.32
N 2.98 0.66 0.41
H 2.10 1.11 0.66
C 3.90 0.67 -0.59
C 3.95 -0.38 -1.68
H 3.18 -1.28 -1.49
H 3.76 -0.12 -2.63
C 5.35 -1.14 -1.55
H 5.67 -1.59 -2.43
H 5.49 -1.50 -0.65
C 6.21 0.24 -1.39
H 7.18 0.03 -0.57
H 6.27 0.90 -2.10
C 5.20 1.08 -0.09
H 5.53 0.39 0.94
H 5.41 2.08 0.15
H 3.40 1.55 -1.16
H -1.07 -2.38 1.14
H -3.28 -2.96 0.21
H -6.28 -2.83 -1.25
H -4.66 -3.39 -1.38
*
```

Computed properties:
- energy relative to the best compared isomer or geometry (same formula, charge and spin) (kcal per mole) = 308.5
- HOMO level (Eh) = -0.293
- frontier orbital gap (Ha) = 0.3140
- LUMO level (eV) = 0.571

---

[3]
ORCA calculation (the ωB97M-V functional and the def2-TZVPD basis) on a molecular structure, C17H24ClNPd.

The geometry in ORCA input format:
```
! RIJCOSX wB97M-V def2-TZVPD def2/J DEFGRID3
* xyz 2 5
C 0.24 0.78 -5.24
C 1.60 1.26 -4.99
C -0.01 -0.66 -5.32
C -0.88 1.70 -5.07
Cl 0.00 0.18 -1.78
H -0.03 -0.90 -6.40
H -0.98 -0.94 -4.87
H 0.77 -1.26 -4.83
>>>
-- So much for the records of molecules --

About eight months ago, my wife started treating me and our small daughter differently. Then, a month ago, someone sent me emails with indecent photos of my wife and a video in which she was unfaithful to me with several men who work with her. I haven’t said anything until now because I am concerned about our daughter, but I can’t stand it anymore. Tell me what I should do. I don’t want to cause [...]

Case 639

Absentee Parents, Marriage (Adultery/Infidelity)|

I got married eleven years ago.... We have a nine-year-old son.... Recently I found out that my husband has a seven-month-old baby girl with another woman.... I decided to forgive him. He says he doesn’t have anything to do with the mother of that baby girl anymore. However, I don’t know how to get over this. I don’t know how to get past the sadness and pain. I have had three miscarriages, and I can’t [...]

Case 638

Infatuation/Falling in Love|

I fell in love with a sixteen-year-old girl. For more than a year I have been trying to start a relationship with her. The problem is that she could be my daughter, because I am thirty-four years old. My actions have shown her that I am concerned about her well-being. She wanted a cell phone, so I gave her one. Her bedroom was in bad shape, and I fixed it up for her, even adding [...]